What to do:
It remains to transcribe all of the entries underneath without additions.

Source:
No. 1
Entry from the Open Molecules 2025 dataset: C11H11NO in the gas phase (ωB97M-V/def2-TZVPD).

Results
Calculated total energy ... -15122.7411 eV
Energy relative to the best compared isomer or geometry (same formula, charge and spin) ... 21.9 kJ/mol
HOMO energy ... -8.35 eV

Positions of all 24 atoms, in Å:
O1 -1.893 2.470 -0.686
N1 0.804 0.881 0.833
C1 -1.715 -0.580 -1.403
C2 1.815 2.446 2.004
C3 -0.351 -2.482 -0.470
C4 0.702 3.034 1.364
C5 0.737 -1.567 0.102
C6 1.852 1.117 1.657
C7 0.090 2.035 0.640
C8 0.225 -0.173 0.122
C9 -0.967 -1.874 -1.731
C10 -1.032 1.731 -0.259
C11 -0.859 0.278 -0.537
H1 1.636 -1.614 -0.522
H2 -2.649 -0.805 -0.879
H3 2.510 2.949 2.648
H4 1.021 -1.886 1.108
H5 0.394 4.059 1.429
H6 2.544 0.349 1.942
H7 -1.651 -2.590 -2.189
H8 -0.173 -1.661 -2.449
H9 -1.134 -2.617 0.279
H10 0.075 -3.461 -0.694
H11 -1.980 -0.039 -2.313

=====

No. 2
Entry from the Open Molecules 2025 dataset: a gas-phase ion, C8H14N7 (charge +1) at a distorted geometry (ωB97M-V/def2-TZVPD).

Results
Calculated total energy ... -18944.1505 eV
Energy relative to the best compared isomer or geometry (same formula, charge and spin) ... 164.7 kJ/mol
Total charge ... +1
HOMO energy ... -12.23 eV

Positions of all 29 atoms, in Å:
N1 2.788 -1.406 0.325
N2 1.670 1.411 0.966
N3 -1.604 -1.243 -0.739
N4 0.827 -1.380 -1.044
N5 -4.246 0.953 0.377
N6 -0.916 -0.373 0.062
N7 0.419 1.674 -0.962
C1 -2.887 -0.953 -0.583
C2 1.999 -2.133 -0.547
C3 -3.092 0.216 0.257
C4 -1.834 0.604 0.568
C5 0.380 -0.362 -0.101
C6 1.377 2.325 -0.122
C7 2.138 -0.821 1.544
C8 1.323 0.226 0.859
H1 0.636 1.693 -1.919
H2 -0.546 1.997 -0.765
H3 2.666 -2.359 -1.396
H4 2.278 2.525 -0.705
H5 1.642 -3.069 -0.084
H6 -1.295 1.408 1.241
H7 -0.081 -1.819 -1.284
H8 -4.194 1.831 0.751
H9 -3.622 -1.611 -1.111
H10 3.698 -1.139 0.016
H11 2.809 -0.520 2.234
H12 -5.055 0.874 -0.187
H13 1.628 -1.776 1.917
H14 1.095 3.228 0.430

=====

No. 3
Entry from the Open Molecules 2025 dataset: C26H36N6O3S in the gas phase (ωB97M-V/def2-TZVPD).

Results
Calculated total energy ... -53468.0527 eV
HOMO energy ... -8.41 eV

Positions of all 72 atoms, in Å:
S1 -2.494 1.120 -2.383
O1 -4.218 3.080 -0.104
O2 -2.401 -1.402 -3.029
O3 0.887 -4.368 -2.028
N1 -0.745 -2.896 -2.548
N2 -2.024 2.892 0.418
N3 1.267 -2.183 -1.544
N4 1.578 0.029 -0.920
N5 -1.450 1.197 3.739
N6 -0.142 1.614 -1.214
C1 0.496 -3.224 -2.038
C2 -2.623 2.885 -1.895
C3 1.074 1.245 -0.815
C4 1.892 2.359 -0.234
C5 -2.197 2.683 1.835
C6 -0.475 -0.616 -1.951
C7 -1.305 -1.630 -2.554
C8 -0.925 0.706 -1.794
C9 -0.806 2.192 4.566
C10 -1.521 -3.999 -3.090
C11 0.801 -0.909 -1.466
C12 3.651 -2.118 -2.176
C13 -1.377 1.462 2.307
C14 -3.059 2.968 -0.440
C15 -1.698 0.177 1.569
C16 -2.889 -0.052 0.894
C17 2.760 1.051 1.754
C18 -3.125 -1.271 0.278
C19 4.231 1.387 -0.254
C20 -0.990 -2.063 1.014
C21 -2.182 -2.280 0.341
C22 -0.752 -0.843 1.619
C23 2.622 -2.485 -1.107
C24 -2.774 0.875 4.226
C25 3.477 -2.930 -3.454
C26 3.122 1.987 0.605
H1 -2.497 -3.607 -3.367
H2 -0.709 1.788 5.573
H3 4.517 2.075 -1.047
H4 3.637 0.843 2.361
H5 -3.653 0.708 0.841
H6 3.488 -3.995 -3.235
H7 -3.434 1.752 4.298
H8 2.810 -1.917 -0.194
H9 -1.112 2.682 0.020
H10 -1.018 -4.413 -3.964
H11 -4.051 -1.428 -0.252
H12 3.892 0.459 -0.699
H13 2.532 -2.694 -3.939
H14 5.110 1.185 0.354
H15 4.643 -2.298 -1.759
H16 -1.853 3.571 2.380
H17 -3.265 2.556 2.025
H18 -1.663 3.362 -2.073
H19 -1.362 3.139 4.631
H20 3.567 -1.054 -2.403
H21 0.169 -0.677 2.156
H22 3.495 2.926 1.034
H23 -2.677 0.440 5.221
H24 -3.232 0.139 3.570
H25 2.002 1.498 2.394
H26 2.658 -3.556 -0.900
H27 -0.249 -2.848 1.073
H28 1.217 2.981 0.360
H29 -0.321 1.690 2.101
H30 4.280 -2.709 -4.153
H31 -2.378 -3.236 -0.123
H32 -3.398 3.298 -2.538
H33 0.192 2.398 4.182
H34 -1.618 -4.783 -2.341
H35 2.217 2.977 -1.078
H36 2.378 0.112 1.363

=====

No. 4
Entry from the Open Molecules 2025 dataset: a molecular structure, C45H63BBaN6O2S3 at a distorted geometry (ωB97M-V/def2-TZVPD).

Results
Calculated total energy ... -94602.3753 eV

Response:
No. 1
Entry from the Open Molecules 2025 dataset: C11H11NO in the gas phase (ωB97M-V/def2-TZVPD).

Results
Calculated total energy ... -15122.7411 eV
Energy relative to the best compared isomer or geometry (same formula, charge and spin) ... 21.9 kJ/mol
HOMO energy ... -8.35 eV

Positions of all 24 atoms, in Å:
O1 -1.893 2.470 -0.686
N1 0.804 0.881 0.833
C1 -1.715 -0.580 -1.403
C2 1.815 2.446 2.004
C3 -0.351 -2.482 -0.470
C4 0.702 3.034 1.364
C5 0.737 -1.567 0.102
C6 1.852 1.117 1.657
C7 0.090 2.035 0.640
C8 0.225 -0.173 0.122
C9 -0.967 -1.874 -1.731
C10 -1.032 1.731 -0.259
C11 -0.859 0.278 -0.537
H1 1.636 -1.614 -0.522
H2 -2.649 -0.805 -0.879
H3 2.510 2.949 2.648
H4 1.021 -1.886 1.108
H5 0.394 4.059 1.429
H6 2.544 0.349 1.942
H7 -1.651 -2.590 -2.189
H8 -0.173 -1.661 -2.449
H9 -1.134 -2.617 0.279
H10 0.075 -3.461 -0.694
H11 -1.980 -0.039 -2.313

=====

No. 2
Entry from the Open Molecules 2025 dataset: a gas-phase ion, C8H14N7 (charge +1) at a distorted geometry (ωB97M-V/def2-TZVPD).

Results
Calculated total energy ... -18944.1505 eV
Energy relative to the best compared isomer or geometry (same formula, charge and spin) ... 164.7 kJ/mol
Total charge ... +1
HOMO energy ... -12.23 eV

Positions of all 29 atoms, in Å:
N1 2.788 -1.406 0.325
N2 1.670 1.411 0.966
N3 -1.604 -1.243 -0.739
N4 0.827 -1.380 -1.044
N5 -4.246 0.953 0.377
N6 -0.916 -0.373 0.062
N7 0.419 1.674 -0.962
C1 -2.887 -0.953 -0.583
C2 1.999 -2.133 -0.547
C3 -3.092 0.216 0.257
C4 -1.834 0.604 0.568
C5 0.380 -0.362 -0.101
C6 1.377 2.325 -0.122
C7 2.138 -0.821 1.544
C8 1.323 0.226 0.859
H1 0.636 1.693 -1.919
H2 -0.546 1.997 -0.765
H3 2.666 -2.359 -1.396
H4 2.278 2.525 -0.705
H5 1.642 -3.069 -0.084
H6 -1.295 1.408 1.241
H7 -0.081 -1.819 -1.284
H8 -4.194 1.831 0.751
H9 -3.622 -1.611 -1.111
H10 3.698 -1.139 0.016
H11 2.809 -0.520 2.234
H12 -5.055 0.874 -0.187
H13 1.628 -1.776 1.917
H14 1.095 3.228 0.430

=====

No. 3
Entry from the Open Molecules 2025 dataset: C26H36N6O3S in the gas phase (ωB97M-V/def2-TZVPD).

Results
Calculated total energy ... -53468.0527 eV
HOMO energy ... -8.41 eV

Positions of all 72 atoms, in Å:
S1 -2.494 1.120 -2.383
O1 -4.218 3.080 -0.104
O2 -2.401 -1.402 -3.029
O3 0.887 -4.368 -2.028
N1 -0.745 -2.896 -2.548
N2 -2.024 2.892 0.418
N3 1.267 -2.183 -1.544
N4 1.578 0.029 -0.920
N5 -1.450 1.197 3.739
N6 -0.142 1.614 -1.214
C1 0.496 -3.224 -2.038
C2 -2.623 2.885 -1.895
C3 1.074 1.245 -0.815
C4 1.892 2.359 -0.234
C5 -2.197 2.683 1.835
C6 -0.475 -0.616 -1.951
C7 -1.305 -1.630 -2.554
C8 -0.925 0.706 -1.794
C9 -0.806 2.192 4.566
C10 -1.521 -3.999 -3.090
C11 0.801 -0.909 -1.466
C12 3.651 -2.118 -2.176
C13 -1.377 1.462 2.307
C14 -3.059 2.968 -0.440
C15 -1.698 0.177 1.569
C16 -2.889 -0.052 0.894
C17 2.760 1.051 1.754
C18 -3.125 -1.271 0.278
C19 4.231 1.387 -0.254
C20 -0.990 -2.063 1.014
C21 -2.182 -2.280 0.341
C22 -0.752 -0.843 1.619
C23 2.622 -2.485 -1.107
C24 -2.774 0.875 4.226
C25 3.477 -2.930 -3.454
C26 3.122 1.987 0.605
H1 -2.497 -3.607 -3.367
H2 -0.709 1.788 5.573
H3 4.517 2.075 -1.047
H4 3.637 0.843 2.361
H5 -3.653 0.708 0.841
H6 3.488 -3.995 -3.235
H7 -3.434 1.752 4.298
H8 2.810 -1.917 -0.194
H9 -1.112 2.682 0.020
H10 -1.018 -4.413 -3.964
H11 -4.051 -1.428 -0.252
H12 3.892 0.459 -0.699
H13 2.532 -2.694 -3.939
H14 5.110 1.185 0.354
H15 4.643 -2.298 -1.759
H16 -1.853 3.571 2.380
H17 -3.265 2.556 2.025
H18 -1.663 3.362 -2.073
H19 -1.362 3.139 4.631
H20 3.567 -1.054 -2.403
H21 0.169 -0.677 2.156
H22 3.495 2.926 1.034
H23 -2.677 0.440 5.221
H24 -3.232 0.139 3.570
H25 2.002 1.498 2.394
H26 2.658 -3.556 -0.900
H27 -0.249 -2.848 1.073
H28 1.217 2.981 0.360
H29 -0.321 1.690 2.101
H30 4.280 -2.709 -4.153
H31 -2.378 -3.236 -0.123
H32 -3.398 3.298 -2.538
H33 0.192 2.398 4.182
H34 -1.618 -4.783 -2.341
H35 2.217 2.977 -1.078
H36 2.378 0.112 1.363

=====

No. 4
Entry from the Open Molecules 2025 dataset: a molecular structure, C45H63BBaN6O2S3 at a distorted geometry (ωB97M-V/def2-TZVPD).

Results
Calculated total energy ... -94602.3753 eV